## Brief
It remains to give back the whole of the contents below with every line break kept.

## Source
Entry 1:
# YSc2Nb

A PBEsol-optimized structure of YSc2Nb (meta-GGA SCAN, Alexandria).

The structure belongs to space group R-3m (No. 166, hexagonal axes); the cell edges are 3.1160, 3.1160 and 32.8792 Å and the angles 90.00°, 90.00° and 120.00°. The distinct sites, in fractional coordinates, are Y at (0.0000, 0.0000, 0.0000), Sc at (0.0000, 0.0000, 0.4176) and Nb at (0.0000, 0.0000, 0.5000).

The value obtained for the total energy is -21.859 eV/atom. The energy of formation from the pure elements comes out at 502.5 meV per atom.


Entry 2:
# NbSe2

A PBEsol-optimized structure of NbSe2 (meta-GGA SCAN, Alexandria).

The structure belongs to space group P6_3/mmc (No. 194); the cell edges are 3.4216, 3.4216 and 24.4483 Å and the angles 90.00°, 90.00° and 120.00°. The distinct sites, in fractional coordinates, are Nb at (0.0000, 0.0000, 0.0000), Nb at (0.0000, 0.0000, 0.2500), Se at (0.3333, 0.6667, 0.0690) and Se at (0.3333, 0.6667, 0.6815).

For the formation energy (no corrections), the calculation gives -890 meV/atom. The value obtained for the total energy is -25.319 eV/atom.


Entry 3:
# NbSe2

A PBEsol-optimized structure of NbSe2 (meta-GGA SCAN, Alexandria).

The structure belongs to space group P-6m2 (No. 187); the cell edges are 3.4218, 3.4218 and 6.9107 Å and the angles 90.00°, 90.00° and 120.00°. The distinct sites, in fractional coordinates, are Nb at (0.0000, 0.0000, 0.0000) and Se at (0.6667, 0.3333, 0.2431).

For the formation energy (no corrections), the calculation gives -918 meV/atom. The value obtained for the total energy is -25.347 eV/atom.


Entry 4:
# NbSe2

A PBEsol-optimized structure of NbSe2 (meta-GGA SCAN, Alexandria).

The structure belongs to space group P-3m1 (No. 164); the cell edges are 3.4205, 3.4205 and 6.1890 Å and the angles 90.00°, 90.00° and 120.00°. The distinct sites, in fractional coordinates, are Nb at (0.0000, 0.0000, 0.0000) and Se at (0.3333, 0.6667, 0.2721).

For the formation energy (no corrections), the calculation gives -867 meV/atom. The value obtained for the total energy is -25.296 eV/atom.


Entry 5:
# NbSe2

A PBEsol-optimized structure of NbSe2 (meta-GGA SCAN, Alexandria).

The structure belongs to space group Amm2 (No. 38); the cell edges are 24.668, 3.419 and 5.921 Å and the angles 90.00°, 90.00° and 90.00°. The distinct sites, in fractional coordinates, are Nb at (0.000, 0.000, 0.000), Nb at (0.248, 0.000, 0.003), Nb at (0.500, 0.000, 0.336), Se at (0.068, 0.000, 0.333), Se at (0.180, 0.000, 0.670), Se at (0.317, 0.000, 0.337) and Se at (0.432, 0.000, 0.670).

For the formation energy (no corrections), the calculation gives -891 meV/atom. The value obtained for the total energy is -25.320 eV/atom.


Entry 6:
# Nb2Se9

A PBEsol-optimized structure of Nb2Se9 (meta-GGA SCAN, Alexandria).

The structure belongs to space group P-1 (No. 2); the cell edges are 8.079, 8.331 and 8.396 Å and the angles 98.54°, 95.12° and 91.76°. The distinct sites, in fractional coordinates, are Nb at (0.082, 0.140, 0.102), Nb at (0.408, 0.405, 0.360), Se at (0.063, 0.596, 0.779), Se at (0.088, 0.841, 0.174), Se at (0.110, 0.286, 0.416), Se at (0.163, 0.031, 0.807), Se at (0.220, 0.433, 0.087), Se at (0.304, 0.679, 0.515), Se at (0.408, 0.103, 0.184), Se at (0.471, 0.299, 0.640) and Se at (0.476, 0.672, 0.922).

For the formation energy (no corrections), the calculation gives -573 meV/atom. The value obtained for the total energy is -23.025 eV/atom.


Entry 7:
# Nb3Se4

A PBEsol-optimized structure of Nb3Se4 (meta-GGA SCAN, Alexandria).

The structure belongs to space group P6_3/m (No. 176); the cell edges are 10.0075, 10.0075 and 3.4333 Å and the angles 90.00°, 90.00° and 120.00°. The distinct sites, in fractional coordinates, are Nb at (0.1095, 0.4877, 0.2500), Se at (0.0621, 0.7210, 0.2500) and Se at (0.3333, 0.6667, 0.7500).

For the formation energy (no corrections), the calculation gives -961 meV/atom. The value obtained for the total energy is -26.633 eV/atom.


Entry 8:
# NbSe2

## Here it is
Entry 1:
# YSc2Nb

A PBEsol-optimized structure of YSc2Nb (meta-GGA SCAN, Alexandria).

The structure belongs to space group R-3m (No. 166, hexagonal axes); the cell edges are 3.1160, 3.1160 and 32.8792 Å and the angles 90.00°, 90.00° and 120.00°. The distinct sites, in fractional coordinates, are Y at (0.0000, 0.0000, 0.0000), Sc at (0.0000, 0.0000, 0.4176) and Nb at (0.0000, 0.0000, 0.5000).

The value obtained for the total energy is -21.859 eV/atom. The energy of formation from the pure elements comes out at 502.5 meV per atom.


Entry 2:
# NbSe2

A PBEsol-optimized structure of NbSe2 (meta-GGA SCAN, Alexandria).

The structure belongs to space group P6_3/mmc (No. 194); the cell edges are 3.4216, 3.4216 and 24.4483 Å and the angles 90.00°, 90.00° and 120.00°. The distinct sites, in fractional coordinates, are Nb at (0.0000, 0.0000, 0.0000), Nb at (0.0000, 0.0000, 0.2500), Se at (0.3333, 0.6667, 0.0690) and Se at (0.3333, 0.6667, 0.6815).

For the formation energy (no corrections), the calculation gives -890 meV/atom. The value obtained for the total energy is -25.319 eV/atom.


Entry 3:
# NbSe2

A PBEsol-optimized structure of NbSe2 (meta-GGA SCAN, Alexandria).

The structure belongs to space group P-6m2 (No. 187); the cell edges are 3.4218, 3.4218 and 6.9107 Å and the angles 90.00°, 90.00° and 120.00°. The distinct sites, in fractional coordinates, are Nb at (0.0000, 0.0000, 0.0000) and Se at (0.6667, 0.3333, 0.2431).

For the formation energy (no corrections), the calculation gives -918 meV/atom. The value obtained for the total energy is -25.347 eV/atom.


Entry 4:
# NbSe2

A PBEsol-optimized structure of NbSe2 (meta-GGA SCAN, Alexandria).

The structure belongs to space group P-3m1 (No. 164); the cell edges are 3.4205, 3.4205 and 6.1890 Å and the angles 90.00°, 90.00° and 120.00°. The distinct sites, in fractional coordinates, are Nb at (0.0000, 0.0000, 0.0000) and Se at (0.3333, 0.6667, 0.2721).

For the formation energy (no corrections), the calculation gives -867 meV/atom. The value obtained for the total energy is -25.296 eV/atom.


Entry 5:
# NbSe2

A PBEsol-optimized structure of NbSe2 (meta-GGA SCAN, Alexandria).

The structure belongs to space group Amm2 (No. 38); the cell edges are 24.668, 3.419 and 5.921 Å and the angles 90.00°, 90.00° and 90.00°. The distinct sites, in fractional coordinates, are Nb at (0.000, 0.000, 0.000), Nb at (0.248, 0.000, 0.003), Nb at (0.500, 0.000, 0.336), Se at (0.068, 0.000, 0.333), Se at (0.180, 0.000, 0.670), Se at (0.317, 0.000, 0.337) and Se at (0.432, 0.000, 0.670).

For the formation energy (no corrections), the calculation gives -891 meV/atom. The value obtained for the total energy is -25.320 eV/atom.


Entry 6:
# Nb2Se9

A PBEsol-optimized structure of Nb2Se9 (meta-GGA SCAN, Alexandria).

The structure belongs to space group P-1 (No. 2); the cell edges are 8.079, 8.331 and 8.396 Å and the angles 98.54°, 95.12° and 91.76°. The distinct sites, in fractional coordinates, are Nb at (0.082, 0.140, 0.102), Nb at (0.408, 0.405, 0.360), Se at (0.063, 0.596, 0.779), Se at (0.088, 0.841, 0.174), Se at (0.110, 0.286, 0.416), Se at (0.163, 0.031, 0.807), Se at (0.220, 0.433, 0.087), Se at (0.304, 0.679, 0.515), Se at (0.408, 0.103, 0.184), Se at (0.471, 0.299, 0.640) and Se at (0.476, 0.672, 0.922).

For the formation energy (no corrections), the calculation gives -573 meV/atom. The value obtained for the total energy is -23.025 eV/atom.


Entry 7:
# Nb3Se4

A PBEsol-optimized structure of Nb3Se4 (meta-GGA SCAN, Alexandria).

The structure belongs to space group P6_3/m (No. 176); the cell edges are 10.0075, 10.0075 and 3.4333 Å and the angles 90.00°, 90.00° and 120.00°. The distinct sites, in fractional coordinates, are Nb at (0.1095, 0.4877, 0.2500), Se at (0.0621, 0.7210, 0.2500) and Se at (0.3333, 0.6667, 0.7500).

For the formation energy (no corrections), the calculation gives -961 meV/atom. The value obtained for the total energy is -26.633 eV/atom.


Entry 8:
# NbSe2